• Listing:
No. 1
Calculated powder diffractogram of HfMg6WO8 for Cu Kα X-rays, from a PBE+U-relaxed structure.
Neutral-atom scattering factors, no anomalous dispersion.

Principal peaks in the range 15° ≤ 2θ ≤ 90°, low angle first:
Position (°2θ)  I/Imax
19.98  100
20.16  49
28.41  43
28.53  85
35.08  76
40.61  73
40.97  35
45.70  48
45.99  24
50.38  37
59.05  45
70.32  24

Cell and atoms:
a = 4.4433 Å, b = 4.4433 Å, c = 8.8112 Å
α = 90.00°, β = 90.00°, γ = 90.00°
Space group P4/mmm (No. 123)
One atom of each set of equivalent atoms:
Hf (0.0000, 0.0000, 0.0000)
Mg (0.0000, 0.5000, 0.2556)
Mg (0.5000, 0.5000, 0.0000)
Mg (0.5000, 0.5000, 0.5000)
W (0.0000, 0.0000, 0.5000)
O (0.0000, 0.0000, 0.2410)
O (0.0000, 0.5000, 0.0000)
O (0.0000, 0.5000, 0.5000)
O (0.5000, 0.5000, 0.2505)

No. 2
Calculated powder diffractogram of HfMg6WO8 for Cu Kα X-rays, from a PBE+U-relaxed structure.
Neutral-atom scattering factors, no anomalous dispersion.

Principal peaks in the range 15° ≤ 2θ ≤ 90°, low angle first:
Position (°2θ)  I/Imax
20.08  67
28.67  56
30.32  31
30.44  98
35.25  100
40.81  47
40.99  94
42.26  74
46.05  32
59.23  58
68.15  33
70.96  31

Cell and atoms:
a = 4.4034 Å, b = 4.4034 Å, c = 8.8436 Å
α = 90.00°, β = 90.00°, γ = 90.00°
Space group P4/mmm (No. 123)
One atom of each set of equivalent atoms:
Hf (0.0000, 0.0000, 0.0000)
Mg (0.0000, 0.0000, 0.5000)
Mg (0.0000, 0.5000, 0.2622)
Mg (0.5000, 0.5000, 0.5000)
W (0.5000, 0.5000, 0.0000)
O (0.0000, 0.0000, 0.2604)
O (0.0000, 0.5000, 0.0000)
O (0.0000, 0.5000, 0.5000)
O (0.5000, 0.5000, 0.2619)

* * * * *

Diffraction record for PmPd2Au8. The powder XRD pattern is calculated, not measured: it uses the PBE geometry in Alexandria and Cu Kα, 1.54184 Å.
Kinematic intensities with the Lorentz-polarization factor, no thermal factor.

Structure:
```
PmPd2Au8
1.0
-2.107 3.742 6.792
2.107 -3.742 6.792
2.107 3.742 -6.792
Pm Pd Au
1 2 8
Direct
0.000 0.000 0.000 Pm
0.324 0.324 0.000 Pd
0.676 0.676 0.000 Pd
0.096 0.834 0.262 Au
0.164 0.664 0.500 Au
0.302 0.500 0.802 Au
0.428 0.166 0.262 Au

• Job:
Quote the block further above with every line break kept.

• Worked solution:
No. 1
Calculated powder diffractogram of HfMg6WO8 for Cu Kα X-rays, from a PBE+U-relaxed structure.
Neutral-atom scattering factors, no anomalous dispersion.

Principal peaks in the range 15° ≤ 2θ ≤ 90°, low angle first:
Position (°2θ)  I/Imax
19.98  100
20.16  49
28.41  43
28.53  85
35.08  76
40.61  73
40.97  35
45.70  48
45.99  24
50.38  37
59.05  45
70.32  24

Cell and atoms:
a = 4.4433 Å, b = 4.4433 Å, c = 8.8112 Å
α = 90.00°, β = 90.00°, γ = 90.00°
Space group P4/mmm (No. 123)
One atom of each set of equivalent atoms:
Hf (0.0000, 0.0000, 0.0000)
Mg (0.0000, 0.5000, 0.2556)
Mg (0.5000, 0.5000, 0.0000)
Mg (0.5000, 0.5000, 0.5000)
W (0.0000, 0.0000, 0.5000)
O (0.0000, 0.0000, 0.2410)
O (0.0000, 0.5000, 0.0000)
O (0.0000, 0.5000, 0.5000)
O (0.5000, 0.5000, 0.2505)

No. 2
Calculated powder diffractogram of HfMg6WO8 for Cu Kα X-rays, from a PBE+U-relaxed structure.
Neutral-atom scattering factors, no anomalous dispersion.

Principal peaks in the range 15° ≤ 2θ ≤ 90°, low angle first:
Position (°2θ)  I/Imax
20.08  67
28.67  56
30.32  31
30.44  98
35.25  100
40.81  47
40.99  94
42.26  74
46.05  32
59.23  58
68.15  33
70.96  31

Cell and atoms:
a = 4.4034 Å, b = 4.4034 Å, c = 8.8436 Å
α = 90.00°, β = 90.00°, γ = 90.00°
Space group P4/mmm (No. 123)
One atom of each set of equivalent atoms:
Hf (0.0000, 0.0000, 0.0000)
Mg (0.0000, 0.0000, 0.5000)
Mg (0.0000, 0.5000, 0.2622)
Mg (0.5000, 0.5000, 0.5000)
W (0.5000, 0.5000, 0.0000)
O (0.0000, 0.0000, 0.2604)
O (0.0000, 0.5000, 0.0000)
O (0.0000, 0.5000, 0.5000)
O (0.5000, 0.5000, 0.2619)

* * * * *

Diffraction record for PmPd2Au8. The powder XRD pattern is calculated, not measured: it uses the PBE geometry in Alexandria and Cu Kα, 1.54184 Å.
Kinematic intensities with the Lorentz-polarization factor, no thermal factor.

Structure:
```
PmPd2Au8
1.0
-2.107 3.742 6.792
2.107 -3.742 6.792
2.107 3.742 -6.792
Pm Pd Au
1 2 8
Direct
0.000 0.000 0.000 Pm
0.324 0.324 0.000 Pd
0.676 0.676 0.000 Pd
0.096 0.834 0.262 Au
0.164 0.664 0.500 Au
0.302 0.500 0.802 Au
0.428 0.166 0.262 Au